KANSAS CITY, Mo. (BP) — Merging the International Mission Board and North American Mission Board is a key question Southern Baptists must address if a much-prayed-for spiritual awakening comes to their network of churches.
SBC President Ronnie Floyd raised the question during his address at a symposium on “The SBC & the 21st Century: Reflection, Renewal & Recommitment” Sept. 28-29 at Midwestern Baptist Theological Seminary in Kansas City, Mo.
“Spiritual renewal leads to strategic reinvention,” Floyd said in an address titled “Kindling Afresh the Gift of God: Spiritual Renewal, Strategic Reinvention and the Southern Baptist Convention.”
“Structure and systems flow from the work of God; they do not create the work of God,” said Floyd, senior pastor of Cross Church in northwest Arkansas who was among the symposium’s seven featured speakers.
“I do not speak as one who does not understand our history nor as one who is a newcomer asking questions that are not truly relevant,” Floyd said, citing numerous ways he has been involved in Southern Baptist life since the late 1980s. Among them: chairman of the SBC Executive Committee, president of the Pastors’ Conference and, most recently, chairman of the Great Commission Resurgence Task Force.
“Yet, I have always been one who has never been afraid to challenge us in what we are doing, why we are doing it, and even the way we may still be doing it,” Floyd said, noting, “We do not need to demonize any of our people who ask questions in the right spirit.”
Floyd set forth several “challenging questions” that Southern Baptists will face “as we kindle afresh the gift of God and experience moments of renewal.”
“I will propose more questions than my opinion, even though I do have a view on probably most of them,” Floyd said. “Most of these questions people have heard already, but some may never have made it to a public arena,” he continued. “I believe it would be negligent of me in dealing with my assigned topic if I chose not to share some of these important questions for this generation of Baptists to consider.”
Among Floyd’s questions:
— “Do we exist to preserve our present brand, structure and systems, or do we exist to advance the Gospel together regionally, statewide, nationally and internationally?”
The Southern Baptist Convention, founded in 1845, could drift into a focus on structures, budgets and competing projects “rather than keeping our focus on our mission to reach the world,” Floyd said. If, over time, Southern Baptists lose “our identity and our reason for being … this leads to people and leaders leaving us and taking their support and vision to other places and ministries,” he said.
— “For the sake of gospel advancement, should the International Mission Board and North American Mission Board become one mission board, the Global Mission Board of the Southern Baptist Convention?”
One reason why a single mission board has never been created, Floyd said, stems from the specific roles of IMB and NAMB. But he pondered whether the dual roles are needed “within the global culture we experience daily and with the reality that ethnicities live everywhere across the world…. [W]ith an undeniable global mindset in America today, is this still the right strategy?”
The future of the SBC’s two mission boards, Floyd said, will involve a decision on how best to “fast-forward the mission of our churches” to advance the Gospel among the ethnicities of the world.
— “Do state conventions and associations have a future in Southern Baptist life?”
There is a need for “boots on the ground” to help churches fulfill their mission, Floyd said, suggesting that state conventions and local Baptist associations will have relevance by optimizing their mission to “serve our churches in reaching their God-assigned responsibility of going, baptizing and making disciples of all the nations.”
State conventions, associations and SBC entities, he added, “must find a way to cease duplication and triplication locally, statewide and nationally.”
— “How will we finance our work together in the future in the most effective way?”
Floyd noted that Southern Baptists’ Cooperative Program for missions and ministry support in each state and across the nation and world was founded 90 years ago. “I don’t think our forefathers would fear churches asking serious questions about our financial future and the Gospel work we do together,” he said. “If they had not asked the question … there would be no Cooperative Program today.”
To strengthen the Cooperative Program, Floyd called for “a renewal in teaching biblical stewardship to our people, calling them boldly to 10 percent giving through their church”; for churches “to give more sacrificially than ever before through our Cooperative Program annually, beginning as soon as possible”; and for state conventions to “consider going 50-50 [in budgeting for their state and the SBC] by the end of the year 2020 or even before.”
“If we did these specific things simultaneously … we would see a mission explosion statewide, nationally and internationally,” Floyd said. “What God has given to us biblically and missionally we must refuse to lose financially.”
Floyd added a call for “an intentional strategy to enlist other churches in America to join our convention” because many churches “have the capacity for us to become their home.”
“If they agree with us biblically by adhering to the Baptist Faith and Message 2000, agree with us missiologically in the way we advance the Gospel regionally, statewide, nationally and internationally, and agree with us cooperatively in the way we support our work financially and are willing to join us in this grand task, then we need to open our doors to them,” Floyd said.
“I would even suggest that we go online with this strategy, creating a ‘Join the Southern Baptist Convention’ website and place a link on the websites of each of our state conventions and our [Southern Baptist Convention] website,” Floyd said. He also suggested that state convention and SBC websites “create online giving for our churches … in this online world.”
— “Is there anything new we need to create for today and for the future that will help our churches in their mission of going, baptizing and making disciples of all the nations?”
Baptists must not be thwarted by “How much will it cost?” but focus on “Who will it reach?” Floyd said.
“What if we had a compassion arm in our convention that brings all we do presently and all we could do in the future into one entity?” he asked in reference to disaster relief, hunger relief and other Southern Baptist initiatives. “I submit to you, if done effectively, it may have the capacity long-term to pay for itself sufficiently. Why? Because Baptists are supporting some of this now through what we are doing already, and they are helping pay for it through others that are non-Baptist ministries.
“Additionally, it would place our powerful Gospel message into this Christless culture that is usually open to appreciating ministries of compassion,” Floyd said.
In his conclusion, Floyd noted that Southern Baptists gave “just over $7 billion over the past decade” through the Cooperative Program and the annual mission offerings for IMB and NAMB.
Inserted here: data records >
┌──
(1)
A molecular structure, C32H18BrF3MoN7O9S3Se, computed with the ωB97M-V functional and the def2-TZVPD basis.

XYZ file:
```
75
Properties=species:S:1:pos:R:3:lowdin_charge:R:1
Mo -0.471 -0.462 -0.190 1.72
O -1.888 5.587 0.385 0.11
C -1.881 4.377 0.294 -0.27
C -1.612 3.571 -0.975 -0.29
O -1.636 3.995 -2.111 0.09
C -1.348 2.227 -0.475 -0.27
C -1.615 2.123 0.912 -0.32
O -1.365 1.018 1.484 -0.09
C -2.049 3.417 1.446 -0.28
O -2.435 3.693 2.571 0.10
O -0.883 1.154 -1.008 -0.27
F -5.245 -2.918 0.094 0.12
C -5.173 -2.366 1.316 -0.62
F -5.910 -3.168 2.115 0.11
F -5.841 -1.209 1.265 0.13
C -3.757 -2.251 1.798 -0.12
C -3.328 -2.929 2.924 0.00
C -1.986 -2.822 3.290 -0.05
C -1.126 -2.116 2.475 -0.11
N -1.509 -1.512 1.343 -0.14
C -2.836 -1.497 1.043 -0.68
S -3.230 -0.530 -0.287 0.82
H -4.015 -3.529 3.499 0.12
H -1.617 -3.304 4.182 0.10
H -0.080 -2.021 2.733 0.11
Se -1.226 -0.549 -4.960 1.19
N -1.394 -2.321 -5.009 -0.24
C -1.350 -2.778 -3.762 -0.38
C -1.466 -4.104 -3.346 0.03
C -1.373 -4.346 -1.981 -0.03
C -1.165 -3.327 -1.078 -0.08
N -1.051 -2.024 -1.429 -0.09
C -1.167 -1.758 -2.750 -0.47
N -1.116 -0.521 -3.190 -0.20
H -1.600 -4.896 -4.063 0.12
H -1.465 -5.354 -1.607 0.11
H -1.068 -3.542 -0.020 0.12
N -0.193 5.433 4.880 0.11
C 0.251 4.572 3.906 -0.32
C 0.375 5.010 2.584 -0.03
C 0.865 4.162 1.614 -0.06
C 1.252 2.878 1.958 -0.29
C 1.141 2.427 3.259 -0.05
C 0.646 3.269 4.232 -0.02
S 1.929 1.791 0.742 0.65
O 1.632 2.294 -0.563 -0.27
O 3.317 1.532 1.047 -0.37
N 1.127 0.363 0.986 -0.21
C 1.810 -0.769 1.023 -0.75
S 3.462 -1.039 1.433 1.09
C 3.164 -2.749 1.207 -0.37
C 1.894 -2.976 0.820 -0.25
N 1.118 -1.854 0.728 -0.09
H -0.744 6.207 4.543 0.09
H -0.565 4.996 5.707 0.09
H 0.035 6.000 2.321 0.12
H 0.932 4.467 0.581 0.13
H 1.428 1.410 3.478 0.12
H 0.545 2.925 5.249 0.11
H 3.952 -3.458 1.354 0.05
H 1.466 -3.931 0.582 0.11
Br 6.014 0.850 -5.937 0.70
C 4.663 0.203 -4.768 -0.69
C 4.470 -1.165 -4.670 -0.13
C 3.507 -1.636 -3.799 -0.01
C 2.751 -0.744 -3.047 -0.11
C 2.951 0.628 -3.166 0.01
C 3.915 1.107 -4.033 -0.11
C 1.727 -1.277 -2.097 -0.56
O 1.608 -2.485 -1.909 0.04
O 1.027 -0.383 -1.502 -0.21
H 5.056 -1.848 -5.269 0.09
H 3.322 -2.695 -3.688 0.12
H 2.354 1.305 -2.572 0.11
H 4.073 2.170 -4.140 0.10
```

The calculation puts the HOMO energy (alpha / beta) at -4.330 / -4.446 eV. Its net charge is -1. Its molar mass is 1052.54 g mol⁻¹. The energy above the lowest of the compared OMol25 structures with the same formula, charge and spin comes out at 61.55 kJ/mol. The frontier orbital gap (alpha / beta) comes out at 4.5 / 4.6 eV. The energy is -240240.1248 eV.


(2)
C8H12N4O in the gas phase, computed with the ωB97M-V functional and the def2-TZVPD basis.

XYZ file:
```
25
Properties=species:S:1:pos:R:3:lowdin_charge:R:1
C 3.747 -0.991 0.362 -0.05
C 2.288 -0.939 0.079 -0.36
C 1.227 -1.802 0.418 0.05
C 0.058 -1.123 0.076 -0.13
N 0.520 -0.014 -0.541 -0.09
N 1.824 0.101 -0.586 0.13
C -0.345 1.099 -0.957 -0.24
C 0.273 2.492 -0.865 -0.04
N -1.648 1.062 -0.043 0.01
└──
“Knowing what we know about our past and present, as well as having the resources of churches, people, influence, reach and dollars,” Floyd asked, “how can we leverage all for the purpose of advancing the Gospel in an unprecedented manner into places where the Gospel has never been before regionally, statewide, nationally and globally?”